/*
ORCA calculation (the ωB97M-V functional and the def2-TZVPD basis) on 2 unconnected molecules or ions with the total composition C5H11I2N3O at a distorted geometry.

Each line ends with the Löwdin charge.
Cartesian coordinates (Å):
C  0.24  -1.03  1.97  -0.0451
C  0.35  -1.92  -0.36  -0.0986
C  0.13  1.24  0.07  -0.2732
C  -0.33  2.32  -0.87  -0.5952
C  -0.47  -1.30  0.67  -0.3785
N  -3.12  0.02  -0.45  0.3299
N  -0.83  0.07  0.09  -0.0294
N  -2.01  0.28  -0.17  -0.0390
O  2.26  0.20  -1.27  -1.1586
I  1.24  3.90  -1.09  0.7361
I  1.75  0.14  -3.12  0.6433
H  -0.43  -0.50  2.73  0.1028
H  0.35  -2.02  2.48  0.1051
H  1.15  -0.40  1.73  0.1123
H  1.39  -1.50  -0.35  0.0708
H  -0.05  -1.56  -1.30  0.0413
H  0.35  -3.05  -0.16  0.1297
H  1.15  0.84  -0.23  0.0341
H  0.19  1.63  1.11  0.1256
H  -0.69  1.84  -1.77  0.0271
H  -1.17  2.68  -0.41  -0.0006
H  -1.44  -1.87  0.68  0.1600

## Properties
LUMO   -0.08186 Ha
Charge   0
HOMO-LUMO gap   0.1716 Eh
Energy above the lowest of the compared OMol25 structures with the same formula, charge and spin   0.0 kcal/mol


ORCA calculation (the ωB97M-V functional and the def2-TZVPD basis) on 2 unconnected molecules or ions with the total composition C9H14 at a distorted geometry.

Each line ends with the Löwdin charge.
Cartesian coordinates (Å):
C  -0.79  -2.99  -0.13  -0.0567
C  -0.58  -1.54  -0.40  -0.2898
C  -1.44  -0.59  0.14  -0.0708
C  -1.29  0.76  -0.14  -0.1126
C  -0.28  1.20  -1.01  -0.1140
C  0.56  0.26  -1.59  -0.0913
C  0.43  -1.09  -1.26  -0.0454
H  -0.03  -3.63  -0.57  0.0735
H  -1.80  -3.18  -0.52  0.0936
H  -0.63  -3.29  0.91  0.0783
H  -2.19  -0.84  0.88  0.1137
H  -1.93  1.52  0.30  0.1072
H  -0.33  2.27  -1.04  0.0996
H  1.33  0.57  -2.28  0.1025
H  0.95  -1.87  -1.81  0.1066
C  1.28  2.58  1.69  -0.1458
C  1.43  1.04  1.68  -0.1548
H  1.33  2.89  2.73  0.0578
H  2.04  3.07  1.09  0.0598
H  0.34  2.88  1.23  0.0395
H  0.45  0.57  1.59  0.0365
H  1.94  0.68  0.80  0.0478
H  1.94  0.68  2.57  0.0646

## Properties
LUMO   0.03774 Ha
SMILES   Cc1ccccc1.CC
Charge   0
HOMO-LUMO gap   0.3711 Eh
Energy above the lowest of the compared OMol25 structures with the same formula, charge and spin   14.9 kcal/mol


ORCA calculation (the ωB97M-V functional and the def2-TZVPD basis) on a molecular structure, C49H50BF5Ge2IrO3S5 at a distorted geometry.

Each line ends with the Löwdin spin population.
Cartesian coordinates (Å):
Ir  -3.18  0.64  -2.76  1.5098
C  -1.11  -4.71  -3.80  0.0002
C  0.10  -3.88  -3.43  0.0024
C  0.43  -2.73  -4.13  0.0095
C  1.51  -1.93  -3.76  0.0189
C  1.84  -0.69  -4.57  0.0251
C  2.27  -2.29  -2.63  0.0077
C  1.98  -3.47  -1.94  0.0023
C  2.79  -3.93  -0.74  0.0004
C  0.90  -4.25  -2.36  0.0029
C  3.38  -1.38  -2.18  0.0192
C  4.69  -1.65  -2.56  -0.0009
C  5.71  -0.78  -2.20  0.0146
C  5.42  0.36  -1.47  0.0011
C  4.11  0.67  -1.08  0.0222
C  3.08  -0.24  -1.40  0.1136
Ge  1.14  0.11  -1.24  0.4235
S  -1.41  0.58  -4.01  1.0589
S  0.15  -1.58  -0.17  0.1176
Ge  -1.11  0.04  0.65  0.0356
S  -3.05  0.12  -0.39  0.2229
S  0.43  1.61  0.29  0.1382
C  -1.59  -0.16  2.55  0.0133
C  -1.61  0.99  3.37  0.0033
C  -1.97  0.88  4.71  0.0001
C  -2.33  -0.34  5.26  0.0021
C  -2.35  -1.46  4.45  -0.0001
C  -2.00  -1.40  3.11  0.0031
C  -2.12  -2.70  2.34  0.0014
C  -3.32  -3.03  1.70  0.0009
C  -4.56  -2.15  1.75  0.0044
C  -3.41  -4.24  1.02  0.0001
C  -2.37  -5.15  1.00  0.0002
C  -2.50  -6.46  0.26  0.0000
C  -1.20  -4.83  1.69  0.0004
C  -1.06  -3.62  2.37  0.0022
C  0.22  -3.32  3.12  0.0026
C  -1.29  2.37  2.88  0.0038
C  -2.24  3.16  2.22  0.0007
C  -3.63  2.66  1.88  0.0031
C  -1.90  4.47  1.86  0.0004
C  -0.67  5.02  2.17  0.0003
C  -0.34  6.44  1.78  0.0000
C  0.25  4.23  2.85  0.0013
C  -0.03  2.92  3.20  0.0051
C  1.00  2.07  3.91  0.0022
C  3.93  1.99  -0.38  0.0025
C  4.37  2.17  0.94  0.0007
C  4.84  1.01  1.80  0.0001
C  4.41  3.46  1.47  0.0005
C  4.00  4.57  0.74  0.0001
C  4.13  5.97  1.29  0.0000
C  3.50  4.36  -0.55  0.0002
C  3.46  3.10  -1.12  0.0001
*/

Now return all of the lines further up word for word.

ORCA calculation (the ωB97M-V functional and the def2-TZVPD basis) on 2 unconnected molecules or ions with the total composition C5H11I2N3O at a distorted geometry.

Each line ends with the Löwdin charge.
Cartesian coordinates (Å):
C  0.24  -1.03  1.97  -0.0451
C  0.35  -1.92  -0.36  -0.0986
C  0.13  1.24  0.07  -0.2732
C  -0.33  2.32  -0.87  -0.5952
C  -0.47  -1.30  0.67  -0.3785
N  -3.12  0.02  -0.45  0.3299
N  -0.83  0.07  0.09  -0.0294
N  -2.01  0.28  -0.17  -0.0390
O  2.26  0.20  -1.27  -1.1586
I  1.24  3.90  -1.09  0.7361
I  1.75  0.14  -3.12  0.6433
H  -0.43  -0.50  2.73  0.1028
H  0.35  -2.02  2.48  0.1051
H  1.15  -0.40  1.73  0.1123
H  1.39  -1.50  -0.35  0.0708
H  -0.05  -1.56  -1.30  0.0413
H  0.35  -3.05  -0.16  0.1297
H  1.15  0.84  -0.23  0.0341
H  0.19  1.63  1.11  0.1256
H  -0.69  1.84  -1.77  0.0271
H  -1.17  2.68  -0.41  -0.0006
H  -1.44  -1.87  0.68  0.1600

## Properties
LUMO   -0.08186 Ha
Charge   0
HOMO-LUMO gap   0.1716 Eh
Energy above the lowest of the compared OMol25 structures with the same formula, charge and spin   0.0 kcal/mol


ORCA calculation (the ωB97M-V functional and the def2-TZVPD basis) on 2 unconnected molecules or ions with the total composition C9H14 at a distorted geometry.

Each line ends with the Löwdin charge.
Cartesian coordinates (Å):
C  -0.79  -2.99  -0.13  -0.0567
C  -0.58  -1.54  -0.40  -0.2898
C  -1.44  -0.59  0.14  -0.0708
C  -1.29  0.76  -0.14  -0.1126
C  -0.28  1.20  -1.01  -0.1140
C  0.56  0.26  -1.59  -0.0913
C  0.43  -1.09  -1.26  -0.0454
H  -0.03  -3.63  -0.57  0.0735
H  -1.80  -3.18  -0.52  0.0936
H  -0.63  -3.29  0.91  0.0783
H  -2.19  -0.84  0.88  0.1137
H  -1.93  1.52  0.30  0.1072
H  -0.33  2.27  -1.04  0.0996
H  1.33  0.57  -2.28  0.1025
H  0.95  -1.87  -1.81  0.1066
C  1.28  2.58  1.69  -0.1458
C  1.43  1.04  1.68  -0.1548
H  1.33  2.89  2.73  0.0578
H  2.04  3.07  1.09  0.0598
H  0.34  2.88  1.23  0.0395
H  0.45  0.57  1.59  0.0365
H  1.94  0.68  0.80  0.0478
H  1.94  0.68  2.57  0.0646

## Properties
LUMO   0.03774 Ha
SMILES   Cc1ccccc1.CC
Charge   0
HOMO-LUMO gap   0.3711 Eh
Energy above the lowest of the compared OMol25 structures with the same formula, charge and spin   14.9 kcal/mol


ORCA calculation (the ωB97M-V functional and the def2-TZVPD basis) on a molecular structure, C49H50BF5Ge2IrO3S5 at a distorted geometry.

Each line ends with the Löwdin spin population.
Cartesian coordinates (Å):
Ir  -3.18  0.64  -2.76  1.5098
C  -1.11  -4.71  -3.80  0.0002
C  0.10  -3.88  -3.43  0.0024
C  0.43  -2.73  -4.13  0.0095
C  1.51  -1.93  -3.76  0.0189
C  1.84  -0.69  -4.57  0.0251
C  2.27  -2.29  -2.63  0.0077
C  1.98  -3.47  -1.94  0.0023
C  2.79  -3.93  -0.74  0.0004
C  0.90  -4.25  -2.36  0.0029
C  3.38  -1.38  -2.18  0.0192
C  4.69  -1.65  -2.56  -0.0009
C  5.71  -0.78  -2.20  0.0146
C  5.42  0.36  -1.47  0.0011
C  4.11  0.67  -1.08  0.0222
C  3.08  -0.24  -1.40  0.1136
Ge  1.14  0.11  -1.24  0.4235
S  -1.41  0.58  -4.01  1.0589
S  0.15  -1.58  -0.17  0.1176
Ge  -1.11  0.04  0.65  0.0356
S  -3.05  0.12  -0.39  0.2229
S  0.43  1.61  0.29  0.1382
C  -1.59  -0.16  2.55  0.0133
C  -1.61  0.99  3.37  0.0033
C  -1.97  0.88  4.71  0.0001
C  -2.33  -0.34  5.26  0.0021
C  -2.35  -1.46  4.45  -0.0001
C  -2.00  -1.40  3.11  0.0031
C  -2.12  -2.70  2.34  0.0014
C  -3.32  -3.03  1.70  0.0009
C  -4.56  -2.15  1.75  0.0044
C  -3.41  -4.24  1.02  0.0001
C  -2.37  -5.15  1.00  0.0002
C  -2.50  -6.46  0.26  0.0000
C  -1.20  -4.83  1.69  0.0004
C  -1.06  -3.62  2.37  0.0022
C  0.22  -3.32  3.12  0.0026
C  -1.29  2.37  2.88  0.0038
C  -2.24  3.16  2.22  0.0007
C  -3.63  2.66  1.88  0.0031
C  -1.90  4.47  1.86  0.0004
C  -0.67  5.02  2.17  0.0003
C  -0.34  6.44  1.78  0.0000
C  0.25  4.23  2.85  0.0013
C  -0.03  2.92  3.20  0.0051
C  1.00  2.07  3.91  0.0022
C  3.93  1.99  -0.38  0.0025
C  4.37  2.17  0.94  0.0007
C  4.84  1.01  1.80  0.0001
C  4.41  3.46  1.47  0.0005
C  4.00  4.57  0.74  0.0001
C  4.13  5.97  1.29  0.0000
C  3.50  4.36  -0.55  0.0002
C  3.46  3.10  -1.12  0.0001